Allison had sought me out for counseling because she had discovered that her husband, Jerry, was having an affair. She loved Jerry and didn%26rsquo;t want to leave the relationship, but she didn%26rsquo;t know what to do. She was not just angry %26ndash; she was furious.
%26ldquo;Of course you have a right to get angry,%26rdquo; I told her. %26ldquo;But what%26rsquo;s the point? What do you hope to gain by getting angry?%26rdquo;
%26ldquo;What do you mean, %26lsquo;What%26rsquo;s the point?%26rsquo; He has betrayed me. I am hurt and angry. Wouldn%26rsquo;t anyone be hurt and angry in this situation?%26rdquo;
%26ldquo;Yes, most people would. But going back to the Inner Bonding concept of intent %26ndash; what is the intent of getting angry?
Are you taking loving care of yourself or trying to control Jerry when you get angry at him?%26rdquo;
%26ldquo;I%26rsquo;m taking care of myself by getting him to see how badly he has hurt me.
He has stopped the affair, but I want to make sure he never does this again.%26rdquo;
%26ldquo;So you are telling yourself that if you can get him %26ndash; with your anger - to see that he has hurt you, you will have control over the future and you will feel better, is that right?%26rdquo;
%26ldquo;Allison, does Jerry know that you feel hurt?%26rdquo;
%26ldquo;Yes,%26rdquo; %26ldquo;Are you feeling better?%26rdquo;
%26ldquo;No. I still feel furious.%26rdquo;
%26ldquo;I%26rsquo;d like you to go inside to the angry part of you. Ask your inner child why she is angry at YOU.%26rdquo;
%26ldquo;Little Allison, why are you angry at me?%26rdquo; %26ldquo;Now allow your inner child to talk with you. Allow her to express her anger at you.%26rdquo; (Little Allison) %26ldquo;You keep wanting Jerry to love me and pay attention to me, but you don%26rsquo;t. You never listen to me. You never hear me. I%26rsquo;m not important to you. If you paid half as much attention to me as you do trying to get Jerry to pay attention to me, I would feel a lot better. You even told me that it is my fault that Jerry had an affair. You always tell me that I%26rsquo;m not good enough, not pretty enough, not smart enough. I%26rsquo;m so angry at you! I hate you!%26rdquo;
%26ldquo;Wow!%26rdquo; said Allison. %26ldquo;I didn%26rsquo;t know that was in there!%26rdquo;
%26ldquo;Allison, anger at another person is generally a projection of our inner child%26rsquo;s anger at us for not taking care of ourselves.
You are getting angry at Jerry to try to have control over getting Jerry to love you, instead of taking responsibility for loving yourself. Your anger at Jerry did not start with the affair, as you%26rsquo;ve told me. You have been angry at him for years for not giving you what you want, is that right?%26rdquo;
%26ldquo;Yes. I have always felt unimportant to him. Only now it%26rsquo;s worse.%26rdquo;
%26ldquo;Allison, your anger is your wounded self%26rsquo;s way of trying to control getting what you want, and Jerry%26rsquo;s withdrawal and having an affair are his wounded self%26rsquo;s ways of trying to have control over not being controlled. Both of you are acting from your wounded selves in violating and disrespectful ways toward each other. Neither of you are taking loving care of yourselves.
[Here the entry breaks off for records of crystals]
# 1
! SrPuIn2 (PBE, relaxed); values from VASP
&SYSTEM
  ibrav = 0, nat = 4, ntyp = 3
/
ATOMIC_SPECIES
Sr 87.62 Sr.upf
Pu 244.00 Pu.upf
In 114.82 In.upf
ATOMIC_POSITIONS crystal
Sr 0.000 0.000 0.000
Pu 0.000 0.000 0.500
In 0.500 0.500 0.263
In 0.500 0.500 0.737
CELL_PARAMETERS angstrom
3.513 0.000 0.000
0.000 3.513 0.000
0.000 0.000 9.482
! **Total DFT energy (no corrections)**: -22.4 eV/cell
! **Space group**: P4/mmm
! **Total magnetization**: 5.61 μB/f.u.
! **DFT formation energy**: -0.23 eV per atom


# 2
! BaYRe2 (PBE, relaxed); values from VASP
&SYSTEM
  ibrav = 0, nat = 8, ntyp = 3
/
ATOMIC_SPECIES
Ba 137.33 Ba.upf
Y 88.91 Y.upf
Re 186.21 Re.upf
ATOMIC_POSITIONS crystal
Ba 0.000 0.000 0.000
Ba 0.500 0.500 0.000
Y 0.000 0.500 0.000
Y 0.500 0.000 0.000
Re 0.250 0.250 0.500
Re 0.250 0.750 0.500
Re 0.750 0.250 0.500
Re 0.750 0.750 0.500
CELL_PARAMETERS angstrom
5.976 0.000 0.000
0.000 10.118 0.000
-1.083 0.000 2.821
! **Total DFT energy (no corrections)**: -56.6 eV/cell
! **Space group**: C2/m
! **Total magnetization**: 0.00 μB/f.u.
! **DFT formation energy**: 1.25 eV per atom


# 3
! SmMgCdPt (PBE, relaxed); values from VASP
&SYSTEM
  ibrav = 0, nat = 16, ntyp = 4
/
ATOMIC_SPECIES
Sm 150.36 Sm.upf
Mg 24.30 Mg.upf
Cd 112.41 Cd.upf
Pt 195.08 Pt.upf
ATOMIC_POSITIONS crystal
Sm 0.000 0.000 0.000
Sm 0.000 0.500 0.500
Sm 0.500 0.000 0.500
Sm 0.500 0.500 0.000
Mg 0.000 0.000 0.500
Mg 0.000 0.500 0.000
Mg 0.500 0.000 0.000
Mg 0.500 0.500 0.500
Cd 0.250 0.250 0.250
Cd 0.250 0.750 0.750
Cd 0.750 0.250 0.750
Cd 0.750 0.750 0.250
Pt 0.250 0.250 0.750
Pt 0.250 0.750 0.250
Pt 0.750 0.250 0.250
Pt 0.750 0.750 0.750
CELL_PARAMETERS angstrom
7.026 0.000 0.000
0.000 7.026 0.000
0.000 0.000 7.026
! **Total DFT energy (no corrections)**: -62.8 eV/cell
! **Space group**: F-43m
! **Total magnetization**: 0.00 μB/f.u.
! **DFT formation energy**: -0.61 eV per atom

~~~~~

*1*
An optimized crystal structure of Y3TmSe4, computed with GGA-PBE.

## Properties
* volume: 381 Å³/cell

Structure (CIF):
```
data_Y3TmSe4
_cell_length_a 7.0846
_cell_length_b 8.0660
_cell_length_c 7.0652
_cell_angle_alpha 90.00
_cell_angle_beta 109.28
_cell_angle_gamma 90.00
_space_group_name_H-M_alt 'P 1 2/c 1'
_space_group_IT_number 13
loop_
_space_group_symop_operation_xyz
'x,y,z'
'-x,-y,-z'
'-x,y,-z+1/2'
'x,-y,z+1/2'
loop_
_atom_site_label
_atom_site_fract_x
_atom_site_fract_y
_atom_site_fract_z
Y1 0.0000 0.1236 0.2500
Y2 0.0000 0.3738 0.7500
Y3 0.5000 0.1239 0.7500
Tm1 0.5000 0.3740 0.2500
Se1 0.2523 0.1277 0.0026
Se2 0.2548 0.3775 0.4997
```

*2*
An optimized crystal structure of Y3TmSe4, computed with GGA-PBE.

## Properties
* volume: 191 Å³/cell

Structure (CIF):
```
data_Y3TmSe4
_cell_length_a 5.7563
_cell_length_b 5.7563
_cell_length_c 5.7563
_cell_angle_alpha 90.00
_cell_angle_beta 90.00
_cell_angle_gamma 90.00
_space_group_name_H-M_alt 'P m -3 m'
_space_group_IT_number 221
_space_group_name_Hall '-P 4 2 3'
loop_
_atom_site_label
_atom_site_fract_x
_atom_site_fract_y
Instead of continuing to get angry at Jerry for his wounded self, why not open to learning about your own wounded self? Continuing to be angry at Jerry only perpetuate the dysfunctional system that the two of you are operating in. It%26rsquo;s not that you don%26rsquo;t have a right to your anger %26ndash; it%26rsquo;s that it is not working for you to dump it on Jerry rather than learn about why your inner child is angry at you.
And there is a good possibility that if you start to take responsibility for your own feelings instead of making Jerry responsible for them, the two of you can heal the dysfunction in this relationship. Are you willing to take your eyes of Jerry and put them on yourself?%26rdquo;
Allison was willing and spent the next six months in weekly sessions, learning how to take loving care of herself. After a couple of months Jerry also started working on himself. Allison and Jerry have a ways to go, but they are well on their way to a far more loving relationship.